Night 2: Saturday 19th November 2022. Hilary and Dan.

Is it night 2? It’s 16.00 on Saturday 19th November and it’s getting dark so that counts as night falling.

Seagulls are reeling and flocking - heading towards their urban cliffs – where do they sleep? The lights on the top of the HSCB tower of docklands are visibly flashing now. Hannah Disco Dickens who painted our POWER STATION sign when we opened for greenback printing in the local substation front/gallery just waved up. It’s really nice having these chats from/with the street. Anna the Observer journalist is being a roving reporter down below visiting different residents to hear their angle on the project.

Checking in on the crowdfunder we’re at £4,330 – 8% of the total of £50,000 we’re aiming to meet and exceed. Let’s do this. I need to make a poster for the windows below but another neighbour also suggested putting the crowdfunder address somehow big up here. Will work on that tomorrow. I’m hungry. This morning, Brian from Organic Lea cycled past with a luminous jacket aptly saying ‘electricity,’ asked if we’d like breakfast and proceeded to drop off a delicious water melon and some cinnamon and raison bagels. He’s been an ally from the start and it’s great the food co-op is expanding and beginning to test ways of working on our street / every street. Boys kicking footballs wave up. I overhear snippets of conversations, try not to be nosy as neighbours go about their business, try not to feel too exposed as I go about mine typing this basically on display. Anna emerges from a house and is off home. Dan’s been playing fortnite with E, making food and bringing home doughnuts so we’re not totally absent from their lives in this strange period.

A crow seems put out by my presence. I think it’s the same crow as last night. I can just make out the floodlighting on the nearby football pitches where Coppermill Swifts FC train. In the first step of fulfilling on the promise on our ‘greenback’ banknotes to share funds and resources with all the local organisations featured on them we sponsored their under 11 Girls team. They’ve just shared a beautiful film of the green kit with POWER STATION written on the front with us. Joanne (who’s consistently supported the project with help securing the printing space) let them know what the project was about and shared an idea that went down well -  that they were all little sun fuelled power stations too. Girls full of energy and power.

-- The text is interrupted by calculated crystals --
=====
Diffraction record for Sr3MgCo2S2O5. The XRD peak list is calculated, not measured: it uses a structure optimized by DFT (PBE+U) and Cu Kα (weighted mean of Kα1 and Kα2).
Peak positions follow from Bragg's law for the DFT cell and can differ from measured ones.

Cell and atoms:
```
Sr3MgCo2S2O5
1.0
-1.9422 1.9422 13.9087
1.9422 -1.9422 13.9087
1.9422 1.9422 -13.9087
Sr Mg Co S O
3 1 2 2 5
direct
0.0000 0.0000 0.0000
0.1380 0.1380 0.0000
0.8620 0.8620 0.0000
0.2500 0.7500 0.5000
0.4307 0.4307 0.0000
0.5693 0.5693 0.0000
0.3063 0.3063 0.0000
0.6937 0.6937 0.0000
0.0803 0.5803 0.5000
0.4197 0.9197 0.5000
0.5000 0.5000 0.0000
0.5783 0.0783 0.5000
0.9217 0.4217 0.5000
```

The 10 most intense peaks (2θ from 10° to 90°), sorted by position:
two_theta	I (rel.)
32.23	100
32.60	41
37.17	12
38.08	16
45.66	8
46.77	31
57.22	14
57.94	36
=====
-- So much for the calculated crystals --

We eat takeaway pizza on the rooftop. Dan says I’m like a decrepit bed bound great aunt which we all agree is a bit rude – we’re forced to stay in the bed like Charlie’s (of Chocolate Factory fame) grandparents because it’s the only place to really be with any warmth up there.

Ok that was a night. The weather forecast was unexpectedly accurate. It began to rain at 3am and has just stopped for a moment this morning of Sunday 20th November to allow us time to get all the wet covers off into the house and set up a potentially slightly better method – a string across the bed to keep the plastic tarpaulin off the covers more tent like -though leaving a big space near our heads open with leakage possible/inevitable without some more ingenuity. We kept warm most of the night but the wet seeped into the pillows, started puddling at our feet and then my hat got soaked somehow and after that the chill infiltrated -  though not that badly. I dream Dan is prime minister and the security services and military don’t let me near him in a world apart. Looking at my finger holding up the plastic as water runs down the clear surface I reminisce about Iceland at 19 – my friend and I taking it in turns to hold our broken tent up/down on a glacial outwash plain in minus temperatures. Ah Iceland – Dan muses, taking on his ‘Withnail and I’ persona. We wonder if it’s the sound of the raindrops on the plastic that makes it seem more rainy than it is but poking our heads out to check – it’s pretty rainy. The evening was beautiful, a damp mist clung to the string of red lights that mark the cranes on multiple horizons. Geese fly overhead and I pull out the camera to shoot them – I  hope that over these nights I ‘ll get the footage I ‘ve been dreaming of – from geese to squirrels, crows and foxes. The kind of footage that needs the ‘being in one place’ that this rooftop sleeping allows. The stars are bright, regular, resounding bangs go off that sound louder than fireworks.

Dan sent a late night email out to correct the crowdfunder address and when we check in we’re at 11%  - £5818. Not too bad and we’ll do everything we can to get there and ideally get off this roof before the remaining 25 days it’s showing on the crowdfunder page. Please! It’s 10 in the morning and I ‘m ravenous. In and out with wet bedding and making sure everything’s drying at the top in a moment of sunshine before I go back up again for a day shift. Could do with more sleep. Best sleep when outdoor living seems to be from dawnrise onwards if you’ve got nowhere to go and we’re not getting that.


It's 13.42. We’re at £6388 (12%). More sleep seems unlikely. After securing everything to dry in the increasing sun’s rays and breeze I lay my head down and drop off for 2 minutes only to be interrupted by the loft window opening and cries from inside. The need to tidy. To sort meals. To find things for people. But to also be visible and present on the roof.  A magpie lands on the chimney and I get the camera out in time but it’s the wrong lens. Starlings alight in a nearby bush but I miss them. Planes fly overhead. I film shots across the rooftops towards the towers of docklands, cobwebs and railway line but don’t get any of the good shots that need more patience. The weather forecast is for a dryer night but chance of rain before that. I ‘ve never done detailed checks of the weather before going out but now I find myself on the met office interactive weather maps watching the pixelated fronts moving across the country and surrounding seas.


night 3


Night 1